+++
C36H81F6MgN2O20S2 as an isolated structure at a distorted geometry. Source: the Open Molecules 2025 dataset; level of theory: ωB97M-V/def2-TZVPD.

The orbital gap (spin up / spin down) is 6.207 / 2.404 eV. For the total energy, the calculation gives -125964.4555 eV. The net charge is +2. The multiplicity is 2. For the largest force on an atom, the calculation gives 7.14 eV/A.

```
148
Properties=species:S:1:pos:R:3:lowdin_spin:R:1
Mg 1.35 -2.22 -2.60 0.000
C 1.75 1.29 -4.15 0.000
F 2.65 0.55 -4.68 0.000
F 1.86 2.65 -4.44 0.000
F 0.61 0.86 -4.73 0.000
S 1.80 1.02 -2.22 0.000
O 3.20 0.67 -1.96 0.000
O 1.27 2.20 -1.55 0.000
N 0.81 -0.56 -2.04 0.000
S -0.68 0.08 -1.83 0.000
O -1.07 1.29 -2.55 0.000
O -1.55 -0.98 -2.11 0.001
C -0.74 0.44 0.14 0.000
F -1.28 -0.60 0.67 0.000
F 0.56 0.71 0.58 0.000
F -1.57 1.51 0.43 0.000
C -1.55 -10.34 1.42 0.000
O -1.59 -9.10 2.08 0.000
C -1.80 -8.17 0.97 0.000
C -2.11 -6.80 1.57 0.000
O -3.35 -6.86 2.18 0.000
C -3.85 -5.82 3.00 0.000
C -4.14 -4.56 2.23 0.000
O -3.10 -4.13 1.35 0.000
C -3.30 -2.75 0.94 0.000
H -0.96 -11.05 2.00 0.000
H -1.36 -10.34 0.35 0.000
H -2.51 -10.84 1.56 0.000
H -2.72 -8.43 0.43 0.000
H -0.97 -8.21 0.27 0.000
H -2.02 -5.96 0.88 0.000
H -1.41 -6.54 2.36 0.000
H -3.09 -5.63 3.76 0.000
H -4.71 -6.24 3.53 0.000
H -4.51 -3.79 2.91 0.000
H -4.95 -4.90 1.60 0.000
H -2.49 -2.69 0.21 0.000
H -3.10 -2.18 1.85 0.000
H -4.32 -2.59 0.60 0.000
C -4.63 4.71 3.09 0.000
O -3.63 4.78 2.04 0.004
C -2.28 4.67 2.62 0.000
C -1.10 4.85 1.72 0.000
O -1.12 6.16 1.10 0.000
C -2.02 6.23 -0.05 0.000
C -2.22 7.62 -0.66 0.000
O -0.99 7.99 -1.45 0.000
C -0.91 9.34 -2.02 0.000
H -4.54 5.58 3.74 0.000
H -4.56 3.77 3.65 0.000
H -5.62 4.60 2.63 0.000
H -2.24 3.65 2.99 0.000
H -2.03 5.29 3.49 0.000
H -0.88 4.15 0.92 0.000
H -0.17 4.87 2.28 0.000
H -3.06 5.98 0.17 0.000
H -1.58 5.69 -0.89 0.000
H -2.46 8.32 0.13 0.000
H -3.10 7.67 -1.31 0.000
H -0.21 9.30 -2.86 0.000
H -0.67 10.02 -1.20 0.000
H -1.91 9.60 -2.37 0.000
C 6.23 0.67 -4.55 0.000
O 6.95 1.36 -3.54 0.000
C 6.81 2.77 -3.68 0.000
C 7.46 3.51 -2.42 0.000
O 6.53 3.64 -1.34 0.000
C 5.90 2.48 -0.90 0.000
C 4.83 2.60 0.24 0.000
O 5.34 3.18 1.48 0.000
C 6.28 2.30 2.17 0.000
H 6.54 -0.36 -4.37 0.000
H 6.37 0.72 -5.63 0.000
H 5.18 0.85 -4.30 0.000
H 5.80 3.16 -3.75 0.000
H 7.12 3.09 -4.67 0.000
H 7.69 4.52 -2.78 0.000
H 8.35 3.02 -2.03 0.000
H 6.60 1.66 -0.74 0.000
H 5.26 2.11 -1.70 0.000
H 4.37 1.66 0.53 0.000
H 3.92 3.13 -0.06 0.000
H 7.13 2.19 1.50 0.000
H 5.87 1.31 2.33 0.000
H 6.55 2.67 3.16 0.000
C -0.25 -1.70 -5.33 0.000
O 1.04 -1.79 -4.57 0.000
C 2.03 -2.38 -5.42 0.000
C 3.44 -2.40 -4.73 0.000
O 3.13 -2.51 -3.28 0.000
C 4.39 -2.70 -2.58 0.000
C 4.16 -2.31 -1.10 0.000
O 2.73 -2.18 -0.84 0.000
C 2.64 -1.98 0.58 0.000
H -0.96 -1.26 -4.63 0.000
H -0.54 -2.70 -5.65 0.000
H -0.15 -1.08 -6.22 0.000
H 2.04 -1.70 -6.27 0.000
H 1.61 -3.32 -5.78 0.000
H 3.99 -1.49 -4.94 0.000
H 4.10 -3.17 -5.13 0.000
H 5.11 -1.95 -2.93 0.000
H 4.70 -3.75 -2.50 0.000
H 4.63 -1.33 -0.97 0.000
H 4.52 -3.06 -0.40 0.000
H 1.62 -1.95 0.95 0.000
H 3.23 -1.16 0.98 0.000
H 3.16 -2.74 1.17 0.000
C 1.77 -4.77 5.05 0.000
O 0.34 -4.60 5.00 0.000
C -0.21 -4.16 3.83 0.000
C 0.12 -2.68 3.48 0.000
O -0.53 -1.79 4.31 0.000
C -0.36 -0.44 4.00 0.000
C -1.01 0.57 4.93 0.000
O -2.41 0.55 4.77 0.000
C -3.01 -0.62 5.26 0.000
H 2.20 -5.52 4.38 0.000
H 2.01 -5.18 6.03 0.000
H 2.44 -3.92 5.07 0.000
H -1.27 -4.36 3.68 0.000
H 0.25 -4.78 3.06 0.000
H -0.19 -2.41 2.47 0.000
H 1.18 -2.43 3.60 0.000
H -0.67 -0.24 2.98 0.000
H 0.71 -0.24 4.07 0.000
H -0.64 1.59 4.85 0.000
H -0.67 0.34 5.94 0.000
H -3.00 -1.45 4.55 0.000
H -4.07 -0.68 5.53 0.000
H -2.50 -0.87 6.19 0.000
C -4.27 0.51 -1.40 0.059
C -4.79 1.85 -0.90 0.106
C -5.97 2.38 -1.82 0.002
O -6.36 3.71 -1.49 0.004
C -5.45 4.74 -1.82 0.001
N -5.27 1.55 0.45 0.728
H -3.87 0.42 -2.41 0.005
H -5.02 -0.28 -1.40 0.000
H -3.37 0.29 -0.82 0.000
H -3.97 2.57 -0.82 0.040
H -6.68 1.56 -1.73 0.000
H -5.68 2.39 -2.87 0.000
H -4.75 4.93 -1.00 0.001
H -6.08 5.60 -2.04 0.000
+++
Could you quote the block further up from the first line to the one with "-5.27 1.55" word for word?
C36H81F6MgN2O20S2 as an isolated structure at a distorted geometry. Source: the Open Molecules 2025 dataset; level of theory: ωB97M-V/def2-TZVPD.

The orbital gap (spin up / spin down) is 6.207 / 2.404 eV. For the total energy, the calculation gives -125964.4555 eV. The net charge is +2. The multiplicity is 2. For the largest force on an atom, the calculation gives 7.14 eV/A.

```
148
Properties=species:S:1:pos:R:3:lowdin_spin:R:1
Mg 1.35 -2.22 -2.60 0.000
C 1.75 1.29 -4.15 0.000
F 2.65 0.55 -4.68 0.000
F 1.86 2.65 -4.44 0.000
F 0.61 0.86 -4.73 0.000
S 1.80 1.02 -2.22 0.000
O 3.20 0.67 -1.96 0.000
O 1.27 2.20 -1.55 0.000
N 0.81 -0.56 -2.04 0.000
S -0.68 0.08 -1.83 0.000
O -1.07 1.29 -2.55 0.000
O -1.55 -0.98 -2.11 0.001
C -0.74 0.44 0.14 0.000
F -1.28 -0.60 0.67 0.000
F 0.56 0.71 0.58 0.000
F -1.57 1.51 0.43 0.000
C -1.55 -10.34 1.42 0.000
O -1.59 -9.10 2.08 0.000
C -1.80 -8.17 0.97 0.000
C -2.11 -6.80 1.57 0.000
O -3.35 -6.86 2.18 0.000
C -3.85 -5.82 3.00 0.000
C -4.14 -4.56 2.23 0.000
O -3.10 -4.13 1.35 0.000
C -3.30 -2.75 0.94 0.000
H -0.96 -11.05 2.00 0.000
H -1.36 -10.34 0.35 0.000
H -2.51 -10.84 1.56 0.000
H -2.72 -8.43 0.43 0.000
H -0.97 -8.21 0.27 0.000
H -2.02 -5.96 0.88 0.000
H -1.41 -6.54 2.36 0.000
H -3.09 -5.63 3.76 0.000
H -4.71 -6.24 3.53 0.000
H -4.51 -3.79 2.91 0.000
H -4.95 -4.90 1.60 0.000
H -2.49 -2.69 0.21 0.000
H -3.10 -2.18 1.85 0.000
H -4.32 -2.59 0.60 0.000
C -4.63 4.71 3.09 0.000
O -3.63 4.78 2.04 0.004
C -2.28 4.67 2.62 0.000
C -1.10 4.85 1.72 0.000
O -1.12 6.16 1.10 0.000
C -2.02 6.23 -0.05 0.000
C -2.22 7.62 -0.66 0.000
O -0.99 7.99 -1.45 0.000
C -0.91 9.34 -2.02 0.000
H -4.54 5.58 3.74 0.000
H -4.56 3.77 3.65 0.000
H -5.62 4.60 2.63 0.000
H -2.24 3.65 2.99 0.000
H -2.03 5.29 3.49 0.000
H -0.88 4.15 0.92 0.000
H -0.17 4.87 2.28 0.000
H -3.06 5.98 0.17 0.000
H -1.58 5.69 -0.89 0.000
H -2.46 8.32 0.13 0.000
H -3.10 7.67 -1.31 0.000
H -0.21 9.30 -2.86 0.000
H -0.67 10.02 -1.20 0.000
H -1.91 9.60 -2.37 0.000
C 6.23 0.67 -4.55 0.000
O 6.95 1.36 -3.54 0.000
C 6.81 2.77 -3.68 0.000
C 7.46 3.51 -2.42 0.000
O 6.53 3.64 -1.34 0.000
C 5.90 2.48 -0.90 0.000
C 4.83 2.60 0.24 0.000
O 5.34 3.18 1.48 0.000
C 6.28 2.30 2.17 0.000
H 6.54 -0.36 -4.37 0.000
H 6.37 0.72 -5.63 0.000
H 5.18 0.85 -4.30 0.000
H 5.80 3.16 -3.75 0.000
H 7.12 3.09 -4.67 0.000
H 7.69 4.52 -2.78 0.000
H 8.35 3.02 -2.03 0.000
H 6.60 1.66 -0.74 0.000
H 5.26 2.11 -1.70 0.000
H 4.37 1.66 0.53 0.000
H 3.92 3.13 -0.06 0.000
H 7.13 2.19 1.50 0.000
H 5.87 1.31 2.33 0.000
H 6.55 2.67 3.16 0.000
C -0.25 -1.70 -5.33 0.000
O 1.04 -1.79 -4.57 0.000
C 2.03 -2.38 -5.42 0.000
C 3.44 -2.40 -4.73 0.000
O 3.13 -2.51 -3.28 0.000
C 4.39 -2.70 -2.58 0.000
C 4.16 -2.31 -1.10 0.000
O 2.73 -2.18 -0.84 0.000
C 2.64 -1.98 0.58 0.000
H -0.96 -1.26 -4.63 0.000
H -0.54 -2.70 -5.65 0.000
H -0.15 -1.08 -6.22 0.000
H 2.04 -1.70 -6.27 0.000
H 1.61 -3.32 -5.78 0.000
H 3.99 -1.49 -4.94 0.000
H 4.10 -3.17 -5.13 0.000
H 5.11 -1.95 -2.93 0.000
H 4.70 -3.75 -2.50 0.000
H 4.63 -1.33 -0.97 0.000
H 4.52 -3.06 -0.40 0.000
H 1.62 -1.95 0.95 0.000
H 3.23 -1.16 0.98 0.000
H 3.16 -2.74 1.17 0.000
C 1.77 -4.77 5.05 0.000
O 0.34 -4.60 5.00 0.000
C -0.21 -4.16 3.83 0.000
C 0.12 -2.68 3.48 0.000
O -0.53 -1.79 4.31 0.000
C -0.36 -0.44 4.00 0.000
C -1.01 0.57 4.93 0.000
O -2.41 0.55 4.77 0.000
C -3.01 -0.62 5.26 0.000
H 2.20 -5.52 4.38 0.000
H 2.01 -5.18 6.03 0.000
H 2.44 -3.92 5.07 0.000
H -1.27 -4.36 3.68 0.000
H 0.25 -4.78 3.06 0.000
H -0.19 -2.41 2.47 0.000
H 1.18 -2.43 3.60 0.000
H -0.67 -0.24 2.98 0.000
H 0.71 -0.24 4.07 0.000
H -0.64 1.59 4.85 0.000
H -0.67 0.34 5.94 0.000
H -3.00 -1.45 4.55 0.000
H -4.07 -0.68 5.53 0.000
H -2.50 -0.87 6.19 0.000
C -4.27 0.51 -1.40 0.059
C -4.79 1.85 -0.90 0.106
C -5.97 2.38 -1.82 0.002
O -6.36 3.71 -1.49 0.004
C -5.45 4.74 -1.82 0.001
N -5.27 1.55 0.45 0.728